Data =
- - -
(1)
Diffraction record for Pa4P3C. The X-ray powder pattern is theoretical, not measured: it uses a cell relaxed with PBE and Cu Kα (λ = 1.5418 Å).

Structure:
```
data_Pa4P3C
_chemical_formula_sum 'Pa8 P6 C2'
_cell_length_a 6.7615
_cell_length_b 7.7894
_cell_length_c 6.6705
_cell_angle_alpha 90.00
_cell_angle_beta 109.57
_cell_angle_gamma 90.00
_space_group_name_H-M_alt 'P 1'
_space_group_IT_number 1
loop_
_space_group_symop_operation_xyz
'x,y,z'
loop_
_atom_site_label
_atom_site_type_symbol
_atom_site_fract_x
_atom_site_fract_y
_atom_site_fract_z
Pa1 Pa 0.2273 0.1137 0.0016
Pa2 Pa 0.2273 0.8863 0.5016
Pa3 Pa 0.2388 0.3617 0.4870
Pa4 Pa 0.2388 0.6383 0.9870
Pa5 Pa 0.7612 0.3617 0.0130
Pa6 Pa 0.7612 0.6383 0.5130
Pa7 Pa 0.7727 0.1137 0.4984
Pa8 Pa 0.7727 0.8863 0.9984
P1 P 0.0000 0.3750 0.7500
P2 P 0.0000 0.6250 0.2500
P3 P 0.5000 0.1243 0.7500
P4 P 0.5000 0.3758 0.2500
P5 P 0.5000 0.6242 0.7500
P6 P 0.5000 0.8757 0.2500
C1 C 0.0000 0.1225 0.2500
C2 C 0.0000 0.8775 0.7500
```

Largest 10 diffraction maxima, sorted by position, 15 to 90 degrees two-theta:
2theta  I/Imax
28.07  91
28.40  30
32.62  100
46.59  35
46.93  12
47.06  24
55.27  13
55.51  18
55.85  14
58.09  12


(2)
Diffraction record for Pm4Y7Sc. The X-ray powder pattern is theoretical, not measured: it uses a cell relaxed with PBE and Cu Kα (λ = 1.5418 Å).

Structure:
```
data_Pm4Y7Sc
_chemical_formula_sum 'Pm4 Y7 Sc1'
_cell_length_a 6.5456
_cell_length_b 6.8135
_cell_length_c 9.0696
_cell_angle_alpha 86.07
_cell_angle_beta 77.16
_cell_angle_gamma 82.44
_space_group_name_H-M_alt 'P 1'
_space_group_IT_number 1
loop_
_space_group_symop_operation_xyz
'x,y,z'
loop_
_atom_site_label
_atom_site_type_symbol
_atom_site_fract_x
_atom_site_fract_y
_atom_site_fract_z
Pm1 Pm 0.1343 0.3092 0.2821
Pm2 Pm 0.3463 0.8848 0.6970
Pm3 Pm 0.6537 0.1152 0.3030
Pm4 Pm 0.8657 0.6908 0.7179
Y1 Y 0.0214 0.2481 0.9511
Y2 Y 0.1882 0.8068 0.3525
Y3 Y 0.3090 0.3954 0.6153
Y4 Y 0.5000 0.5000 0.0000
Y5 Y 0.6910 0.6046 0.3847
Y6 Y 0.8118 0.1932 0.6475
Y7 Y 0.9786 0.7519 0.0489
Sc1 Sc 0.5000 0.0000 0.0000
```

Largest 10 diffraction maxima, sorted by position, 15 to 90 degrees two-theta:
2theta  I/Imax
30.35  52
30.99  53
31.49  79
31.61  77
32.01  100
32.52  48
32.67  26
34.59  18
56.66  22
64.16  19


(3)
Diffraction record for Ba6AgP2. The X-ray powder pattern is theoretical, not measured: it uses a cell relaxed with PBE and Cu Kα (λ = 1.5418 Å).

Structure:
```
data_Ba6AgP2
_chemical_formula_sum 'Ba6 Ag1 P2'
_cell_length_a 8.0380
_cell_length_b 8.0380
_cell_length_c 7.9086
_cell_angle_alpha 90.00
_cell_angle_beta 90.00
_cell_angle_gamma 120.00
_space_group_name_H-M_alt 'P 1'
_space_group_IT_number 1
loop_
_space_group_symop_operation_xyz
'x,y,z'
loop_
_atom_site_label
_atom_site_type_symbol
_atom_site_fract_x
_atom_site_fract_y
_atom_site_fract_z
Ba1 Ba 0.0000 0.3440 0.2286
Ba2 Ba 0.0000 0.6560 0.7714
Ba3 Ba 0.3440 0.0000 0.2286
Ba4 Ba 0.3440 0.3440 0.7714
Ba5 Ba 0.6560 0.0000 0.7714
Ba6 Ba 0.6560 0.6560 0.2286
Ag1 Ag 0.0000 0.0000 0.5000
P1 P 0.3333 0.6667 0.0000
P2 P 0.6667 0.3333 0.0000
```

Largest 10 diffraction maxima, sorted by position, 15 to 90 degrees two-theta:
2theta  I/Imax
16.97  12
22.48  16
24.85  100
31.75  39
38.81  30
40.94  23
45.31  14
46.64  18
61.63  12
62.23  14


(4)
Diffraction record for K4Br2ClF. The X-ray powder pattern is theoretical, not measured: it uses a cell relaxed with PBE and Cu Kα (λ = 1.5418 Å).

Structure:
```
data_K4Br2ClF
_chemical_formula_sum 'K8 Br4 Cl2 F2'
_cell_length_a 8.9438
_cell_length_b 8.9438
_cell_length_c 8.8976
_cell_angle_alpha 119.80
_cell_angle_beta 119.80
_cell_angle_gamma 89.84
_space_group_name_H-M_alt 'P 1'
_space_group_IT_number 1
loop_
_space_group_symop_operation_xyz
'x,y,z'
loop_
_atom_site_label
_atom_site_type_symbol
_atom_site_fract_x
_atom_site_fract_y
_atom_site_fract_z
K1 K 0.2185 0.2256 0.4730
K2 K 0.2256 0.2185 0.9730
K3 K 0.2316 0.7684 0.5075
K4 K 0.2316 0.7684 0.9925
K5 K 0.7684 0.2316 0.0075
K6 K 0.7684 0.2316 0.4925
- - -
Exercise =
Duplicate the data earlier on from the first line to the one with "0.2185 0.2256" exactly, please.
Outcome =
(1)
Diffraction record for Pa4P3C. The X-ray powder pattern is theoretical, not measured: it uses a cell relaxed with PBE and Cu Kα (λ = 1.5418 Å).

Structure:
```
data_Pa4P3C
_chemical_formula_sum 'Pa8 P6 C2'
_cell_length_a 6.7615
_cell_length_b 7.7894
_cell_length_c 6.6705
_cell_angle_alpha 90.00
_cell_angle_beta 109.57
_cell_angle_gamma 90.00
_space_group_name_H-M_alt 'P 1'
_space_group_IT_number 1
loop_
_space_group_symop_operation_xyz
'x,y,z'
loop_
_atom_site_label
_atom_site_type_symbol
_atom_site_fract_x
_atom_site_fract_y
_atom_site_fract_z
Pa1 Pa 0.2273 0.1137 0.0016
Pa2 Pa 0.2273 0.8863 0.5016
Pa3 Pa 0.2388 0.3617 0.4870
Pa4 Pa 0.2388 0.6383 0.9870
Pa5 Pa 0.7612 0.3617 0.0130
Pa6 Pa 0.7612 0.6383 0.5130
Pa7 Pa 0.7727 0.1137 0.4984
Pa8 Pa 0.7727 0.8863 0.9984
P1 P 0.0000 0.3750 0.7500
P2 P 0.0000 0.6250 0.2500
P3 P 0.5000 0.1243 0.7500
P4 P 0.5000 0.3758 0.2500
P5 P 0.5000 0.6242 0.7500
P6 P 0.5000 0.8757 0.2500
C1 C 0.0000 0.1225 0.2500
C2 C 0.0000 0.8775 0.7500
```

Largest 10 diffraction maxima, sorted by position, 15 to 90 degrees two-theta:
2theta  I/Imax
28.07  91
28.40  30
32.62  100
46.59  35
46.93  12
47.06  24
55.27  13
55.51  18
55.85  14
58.09  12


(2)
Diffraction record for Pm4Y7Sc. The X-ray powder pattern is theoretical, not measured: it uses a cell relaxed with PBE and Cu Kα (λ = 1.5418 Å).

Structure:
```
data_Pm4Y7Sc
_chemical_formula_sum 'Pm4 Y7 Sc1'
_cell_length_a 6.5456
_cell_length_b 6.8135
_cell_length_c 9.0696
_cell_angle_alpha 86.07
_cell_angle_beta 77.16
_cell_angle_gamma 82.44
_space_group_name_H-M_alt 'P 1'
_space_group_IT_number 1
loop_
_space_group_symop_operation_xyz
'x,y,z'
loop_
_atom_site_label
_atom_site_type_symbol
_atom_site_fract_x
_atom_site_fract_y
_atom_site_fract_z
Pm1 Pm 0.1343 0.3092 0.2821
Pm2 Pm 0.3463 0.8848 0.6970
Pm3 Pm 0.6537 0.1152 0.3030
Pm4 Pm 0.8657 0.6908 0.7179
Y1 Y 0.0214 0.2481 0.9511
Y2 Y 0.1882 0.8068 0.3525
Y3 Y 0.3090 0.3954 0.6153
Y4 Y 0.5000 0.5000 0.0000
Y5 Y 0.6910 0.6046 0.3847
Y6 Y 0.8118 0.1932 0.6475
Y7 Y 0.9786 0.7519 0.0489
Sc1 Sc 0.5000 0.0000 0.0000
```

Largest 10 diffraction maxima, sorted by position, 15 to 90 degrees two-theta:
2theta  I/Imax
30.35  52
30.99  53
31.49  79
31.61  77
32.01  100
32.52  48
32.67  26
34.59  18
56.66  22
64.16  19


(3)
Diffraction record for Ba6AgP2. The X-ray powder pattern is theoretical, not measured: it uses a cell relaxed with PBE and Cu Kα (λ = 1.5418 Å).

Structure:
```
data_Ba6AgP2
_chemical_formula_sum 'Ba6 Ag1 P2'
_cell_length_a 8.0380
_cell_length_b 8.0380
_cell_length_c 7.9086
_cell_angle_alpha 90.00
_cell_angle_beta 90.00
_cell_angle_gamma 120.00
_space_group_name_H-M_alt 'P 1'
_space_group_IT_number 1
loop_
_space_group_symop_operation_xyz
'x,y,z'
loop_
_atom_site_label
_atom_site_type_symbol
_atom_site_fract_x
_atom_site_fract_y
_atom_site_fract_z
Ba1 Ba 0.0000 0.3440 0.2286
Ba2 Ba 0.0000 0.6560 0.7714
Ba3 Ba 0.3440 0.0000 0.2286
Ba4 Ba 0.3440 0.3440 0.7714
Ba5 Ba 0.6560 0.0000 0.7714
Ba6 Ba 0.6560 0.6560 0.2286
Ag1 Ag 0.0000 0.0000 0.5000
P1 P 0.3333 0.6667 0.0000
P2 P 0.6667 0.3333 0.0000
```

Largest 10 diffraction maxima, sorted by position, 15 to 90 degrees two-theta:
2theta  I/Imax
16.97  12
22.48  16
24.85  100
31.75  39
38.81  30
40.94  23
45.31  14
46.64  18
61.63  12
62.23  14


(4)
Diffraction record for K4Br2ClF. The X-ray powder pattern is theoretical, not measured: it uses a cell relaxed with PBE and Cu Kα (λ = 1.5418 Å).

Structure:
```
data_K4Br2ClF
_chemical_formula_sum 'K8 Br4 Cl2 F2'
_cell_length_a 8.9438
_cell_length_b 8.9438
_cell_length_c 8.8976
_cell_angle_alpha 119.80
_cell_angle_beta 119.80
_cell_angle_gamma 89.84
_space_group_name_H-M_alt 'P 1'
_space_group_IT_number 1
loop_
_space_group_symop_operation_xyz
'x,y,z'
loop_
_atom_site_label
_atom_site_type_symbol
_atom_site_fract_x
_atom_site_fract_y
_atom_site_fract_z
K1 K 0.2185 0.2256 0.4730